He stops at our table, still looking at me.

“Um, hi.” I give a little half wave, my cheeks bursting with fruity candy.

He nods. “Hi. What’s with all the candy?”

Logan holds out a selection of candy bars to him. “Take one. Please. My mom smothers me, treats me like I’m five. She needs to back off.” He rolls his eyes.

Hurt flashes across Colt’s face. “No thanks.”

I have the sudden urge to reach out and take his hand, but of course I don’t. That would just be weird. I swallow down the lump of candy.

**The article is interrupted by records of crystals**
=====
The following is a simulated powder diffraction line list of Pm5Sb2Te2. It was derived from a structure optimized by DFT (PBE), using Cu Ka.

Most intense lines, 2θ from 10° to 90°, most intense first:
2θ 34.73, rel. 100; 2θ 29.46, rel. 74; 2θ 33.14, rel. 67; 2θ 31.27, rel. 34; 2θ 30.54, rel. 28; 2θ 32.15, rel. 27

Crystal structure
Lattice parameters (Å, degrees): 8.9293 8.9293 8.2849 90.00 90.00 55.21
Positions (direct):
Pm (0.0000, 0.0000, 0.0000)
Pm (0.0251, 0.7055, 0.6586)
Pm (0.2055, 0.5251, 0.1586)
Pm (0.2945, 0.9749, 0.6586)
Pm (0.4749, 0.7945, 0.1586)
Pm (0.5000, 0.5000, 0.5000)
Pm (0.5251, 0.2055, 0.8414)
Pm (0.7055, 0.0251, 0.3414)
Pm (0.7945, 0.4749, 0.8414)
Pm (0.9749, 0.2945, 0.3414)
Sb (0.1420, 0.8580, 0.3587)
Sb (0.3580, 0.6420, 0.8587)
Sb (0.6420, 0.3580, 0.1413)
Sb (0.8580, 0.1420, 0.6413)
Te (0.1992, 0.1992, 0.0000)
Te (0.3008, 0.3008, 0.5000)
Te (0.6992, 0.6992, 0.5000)
Te (0.8008, 0.8008, 0.0000)


The following is a simulated powder diffraction line list of Rb3Cu2Br5Cl2. It was derived from a structure optimized by DFT (PBE), using Cu Ka.

Most intense lines, 2θ from 10° to 90°, most intense first:
2θ 34.27, rel. 100; 2θ 31.65, rel. 92; 2θ 49.13, rel. 53; 2θ 24.01, rel. 49; 2θ 34.11, rel. 39; 2θ 27.66, rel. 37

Crystal structure
Lattice parameters (Å, degrees): 13.6551 13.6551 13.6551 157.90 157.90 31.45
Positions (direct):
Rb (0.0000, 0.0000, 0.0000)
Rb (0.1840, 0.1840, 0.0000)
Rb (0.8160, 0.8160, 0.0000)
Cu (0.4006, 0.4006, 0.0000)
Cu (0.5994, 0.5994, 0.0000)
Br (0.0946, 0.5946, 0.5000)
Br (0.4054, 0.9054, 0.5000)
Br (0.5000, 0.5000, 0.0000)
Br (0.5946, 0.0946, 0.5000)
Br (0.9054, 0.4054, 0.5000)
Cl (0.3101, 0.3101, 0.0000)
Cl (0.6899, 0.6899, 0.0000)


The following is a simulated powder diffraction line list of Pd2Pb8Au3. It was derived from a structure optimized by DFT (PBE), using Cu Ka.

Most intense lines, 2θ from 10° to 90°, most intense first:
2θ 36.23, rel. 100; 2θ 64.76, rel. 28; 2θ 35.89, rel. 26; 2θ 36.75, rel. 24; 2θ 65.84, rel. 18; 2θ 52.31, rel. 18

Crystal structure
Lattice parameters (Å, degrees): 8.6300 8.6300 4.8914 90.00 90.00 109.13
Positions (direct):
Pd (0.2491, 0.7509, 0.0000)
Pd (0.7509, 0.2491, 0.0000)
Pb (0.1136, 0.3771, 0.0000)
Pb (0.1272, 0.8728, 0.5000)
Pb (0.3695, 0.6305, 0.5000)
Pb (0.3771, 0.1136, 0.0000)
Pb (0.6229, 0.8864, 0.0000)
Pb (0.6305, 0.3695, 0.5000)
Pb (0.8728, 0.1272, 0.5000)
Pb (0.8864, 0.6229, 0.0000)
Au (0.2426, 0.2426, 0.5000)
Au (0.5000, 0.5000, 0.0000)
Au (0.7574, 0.7574, 0.5000)


The following is a simulated powder diffraction line list of CsCaMnBr6. It was derived from a structure optimized by DFT (PBE), using Cu Ka.

Most intense lines, 2θ from 10° to 90°, most intense first:
2θ 33.38, rel. 100; 2θ 27.12, rel. 95; 2θ 17.99, rel. 77; 2θ 43.52, rel. 31; 2θ 39.84, rel. 31; 2θ 52.04, rel. 28

Crystal structure
Lattice parameters (Å, degrees): 7.2034 7.2034 8.0530 90.00 90.00 120.00
Positions (direct):
Cs (0.0000, 0.0000, 0.0000)
Ca (0.3333, 0.6667, 0.5000)
=====
**Back to the article**

“MJ wants to get a tattoo,” Logan explains, motioning to MJ who’s now got her shirt pushed down off her shoulder, inspecting the space there.

“Colt would you ever get one?” she asks, pulling her shirt back into place.

“How do you know I don’t already have one?” he asks.

MJ laughs. “Because something tells me you’re too much of a pretty boy to get inked.”

“I’ve thought about it.” He leans against the side of the table and I have to will my eyes not to travel down the length of his body. “Down here.” He touches just below his belt buckle. Holy God, focus, Taylor. Focus! “I’d get something that says, ‘Thanks for visiting. Come again soon.’”

The table erupts in laughter. But I’m rendered speechless.

“Classy, Colt. Even for you, that’s pretty bad,” MJ scolds.

Unrelated to this page: records of crystals:
<<<
Entry 1:
SrPuO4: theoretical X-ray powder pattern (copper Kα), based on a cell relaxed with GGA-PBE.
Kinematic intensities with the Lorentz-polarization factor, no thermal factor.

Atomic structure:
a = 3.9511 Å, b = 3.9511 Å, c = 18.4751 Å
α = 90.00°, β = 90.00°, γ = 120.00°
Space group R-3m (No. 166, hexagonal axes)
One atom of each set of equivalent atoms:
Sr: 0.0000 0.0000 0.0000 (multiplicity 3)
Pu: 0.0000 0.0000 0.5000 (multiplicity 3)
O: 0.0000 0.0000 0.1403 (multiplicity 6)
O: 0.0000 0.0000 0.3936 (multiplicity 6)

Peak list (6 most intense, 5 to 70 degrees two-theta, in order of rising 2θ)
2θ 14.38, I = 37, hkl 0 0 3
2θ 27.80, I = 100, hkl 0 1 2
2θ 32.57, I = 43, hkl 1 0 4
2θ 45.94, I = 36, hkl 1 1 0
2θ 47.50, I = 29, hkl 0 1 8
2θ 55.24, I = 30, hkl 1 1 6


Entry 2:
Pu2TeO2: theoretical X-ray powder pattern (copper Kα), based on a cell relaxed with GGA-PBE.
Kinematic intensities with the Lorentz-polarization factor, no thermal factor.

Atomic structure:
a = 3.985 Å, b = 3.985 Å, c = 12.546 Å
α = 90.00°, β = 90.00°, γ = 90.00°
Space group I4/mmm (No. 139)
One atom of each set of equivalent atoms:
Pu: 0.000 0.000 0.158 (multiplicity 4)
Te: 0.000 0.000 0.500 (multiplicity 2)
O: 0.000 0.500 0.250 (multiplicity 4)

Peak list (6 most intense, 5 to 70 degrees two-theta, in order of rising 2θ)
2θ 31.00, I = 100, hkl 1 0 3
2θ 31.76, I = 43, hkl 1 1 0
2θ 45.53, I = 20, hkl 2 0 0
2θ 54.65, I = 23, hkl 1 1 6
2θ 56.10, I = 39, hkl 2 1 3
2θ 64.62, I = 11, hkl 2 0 6


Entry 3:
PuTlO3: theoretical X-ray powder pattern (copper Kα), based on a cell relaxed with GGA-PBE.
Kinematic intensities with the Lorentz-polarization factor, no thermal factor.

Atomic structure:
a = 6.132 Å, b = 8.657 Å, c = 6.131 Å
α = 90.00°, β = 90.00°, γ = 90.00°
Space group Pnma (No. 62)
One atom of each set of equivalent atoms:
Pu: 0.000 0.000 0.000 (multiplicity 4)
Tl: 0.000 0.250 0.500 (multiplicity 4)
O: 0.000 0.250 0.002 (multiplicity 4)
O: 0.235 0.001 0.764 (multiplicity 8)

Peak list (6 most intense, 5 to 70 degrees two-theta, in order of rising 2θ)
2θ 29.14, I = 100, hkl 2 0 0
2θ 41.69, I = 26, hkl 0 4 0
2θ 51.67, I = 43, hkl 2 4 0
2θ 60.42, I = 17, hkl 2 4 2
2θ 68.44, I = 13, hkl 4 0 2
2θ 68.54, I = 6, hkl 1 6 1


Entry 4:
RbO: theoretical X-ray powder pattern (copper Kα), based on a cell relaxed with GGA-PBE.
Kinematic intensities with the Lorentz-polarization factor, no thermal factor.

Atomic structure:
a = 5.791 Å, b = 5.791 Å, c = 5.791 Å
α = 90.00°, β = 90.00°, γ = 90.00°
Space group Fm-3m (No. 225)
One atom of each set of equivalent atoms:
Rb: 0.000 0.000 0.000 (multiplicity 4)
O: 0.000 0.000 0.500 (multiplicity 4)

Peak list (6 most intense, 5 to 70 degrees two-theta, in order of rising 2θ)
2θ 26.66, I = 86, hkl 1 1 1
2θ 30.88, I = 100, hkl 2 0 0
2θ 44.24, I = 70, hkl 2 2 0
2θ 52.40, I = 42, hkl 3 1 1
2θ 54.92, I = 24, hkl 2 2 2
2θ 64.35, I = 11, hkl 4 0 0


Entry 5:
Rb2O3: theoretical X-ray powder pattern (copper Kα), based on a cell relaxed with GGA-PBE.
>>>

“Hey, I’ve never had an unsatisfied customer. And in case I forget to say thank you, it’d be covered.” He’s looking at me again.

Gross. “Do you have any respect for women? They’re not your customers,” I say, not bothering to hide the unease I feel.

“I have nothing but respect. I make sure a lady is treated right when she’s with me.”

“So you don’t buy into the notion that the female orgasm doesn’t exist,” Logan asks, his voice scientific and professional.

“Myth,” Colt says absently, reaching down to steal a lollipop that discarded on the edge of my plate. “And I have a few tricks up my sleeve,” he says, looking thoughtfully at the sucker.

I roll my eyes. This conversation needs to end. Now.

“Don’t listen to Logan, he’s afraid of girls as it is,” MJ says.

Logan gives her a look that’s the visual equivalent of stepping in gum.

Colt pops the sucker in his mouth and pats MJ on the top of her head like she’s four years old and just done something amusing. “Okay, kiddos, see you in class.” But before turning away, he bends down near my ear, removing the sucker. “If you’re free tonight, I thought maybe you could come by. We could watch a movie or something before you go away on break.” His breath smells of the strawberry sucker and I want to turn to him and taste it on his lips.

Before I have a chance to answer, Colt strolls away, leaving me looking after him with both intrigue and disgust. I am so screwed. 

Chapter 30

I’m a man on a mission, tossing dirty clothes in the basket in my closet, picking up stray socks, making my bed, even dusting with an old T-shirt. I don’t know the last time I dusted my room. Probably never. I search through a box in my closet. I know I have some candles in here somewhere. Finally I locate them.

Three thick white candles. A gift from a girl I hardly remember. A blonde I think. Jillian? Jenna? It doesn’t matter. I line the candles up on my dresser, the matches set beside them. Then I go to take a shower.

After a lengthy shower, I’m relaxed and spend time online searching for just the right movie. I find one about computer hackers, chuckling to myself and wondering if Taylor’s seen it. Probably not since it’s several years old.

I pay the small fee and download it on my computer. I check the clock again. I know Taylor’s finished with dinner by now. I decide to go and scrounge up some snacks for our movie night, and a diet Coke for Taylor. She won’t be able to resist me and all my careful planning. Girls are suckers for that shit.

Tonight will be perfect.

Several hours later, I’ve eaten all the snacks, burned the candles down to nubs and replayed through my mind all the things I wanted to do her about six times. She must have changed her mind about coming. It’s not like I really waited for her to answer me when I asked, er, told her to come. But that would have worked with most girls. They liked being told what to do. They claimed they didn’t like that macho bullshit, but from what I’d seen, they always responded well.

My phone buzzes on the nightstand. I glance at the caller ID. It’s Yes, aka Samantha. I don’t answer. Thirty minutes later, it buzzes two more times. I pick it up and text her back. I can’t escape what I am. And Taylor’s refusal to come here tonight affirms I shouldn’t even bother trying.

Chapter 31

The halls are deserted, many people having already left for summer break, but my parents are coming to get me tomorrow, since the drive is too long to make on a weeknight after work.

Colt’s offer to come by his room after dinner has been weighing on my mind since lunch. I wanted to hang out and watch a movie, but I’d convinced myself that was a bad idea, and instead spent the evening alone in the computer lab, messing around online, chatting with friends on the hacking sites and message boards I liked, which was always a good distraction.

Around midnight, my eyes are burning from staring at the computer screen for the past six hours. I wonder what Colt’s doing and if he’s still up. I wonder how long he waited before realizing I wasn’t coming. I’m starting to feel bad that I didn’t show. I glance at the clock again wondering if he’s still awake.